Contents >
<<<
[1]
The following is a DFT calculation (the ωB97M-V functional and the def2-TZVPD basis) of the ion C2H3N2O2 with charge -1.

Last column: Löwdin charge in e.
Atoms and positions in Å:
1 C 0.857 -1.116 -0.150  -0.18
2 O 0.260 -0.300 0.771  -0.15
3 N -0.840 0.495 0.077  -0.28
4 O -0.830 0.447 -1.235  -0.24
5 C -1.028 1.638 0.660  -0.36
6 N -1.457 2.624 1.101  0.07
7 H 0.454 -0.754 -1.088  0.05
8 H 0.653 -2.103 -0.054  0.03
9 H 1.932 -0.932 -0.082  0.08

Relative energy (zero: lowest compared OMol25 entry of this formula, charge and spin): 84.14 kcal per mole
Largest force on an atom: 0.068 hartree/bohr
SMILES string: CON([O-])C#N
Kohn-Sham gap: 6.841 eV
E: -337.87530 hartree
Charge: -1

[2]
The following is a DFT calculation (the ωB97M-V functional and the def2-TZVPD basis) of the ion C2H3N2O2 with charge +1.

Last column: Löwdin charge in e.
Atoms and positions in Å:
1 N 1.795 -0.011 0.018  0.22
2 C 0.343 -0.193 -0.012  0.03
3 C -0.795 0.076 0.190  0.15
4 N -2.256 0.013 0.058  -0.42
5 O -2.736 1.027 -0.241  0.20
6 O -2.655 -1.094 0.189  0.19
7 H 2.451 -0.528 0.735  0.25
8 H 1.914 1.009 0.049  0.19
9 H 1.938 -0.298 -0.985  0.20

Relative energy (zero: lowest compared OMol25 entry of this formula, charge and spin): 170.29 kcal per mole
Largest force on an atom: 0.069 hartree/bohr
SMILES string: [NH3+]C#C[N+](=O)[O-]
Kohn-Sham gap: 10.543 eV
E: -337.46681 hartree
Charge: +1

[3]
The following is a DFT calculation (the ωB97M-V functional and the def2-TZVPD basis) of a cluster of 2 separate species, C2H3N2O2S in total.

Last column: Löwdin charge in e.
Atoms and positions in Å:
1 C 0.741 -1.634 -0.218  -0.36
2 C 0.109 -0.728 0.645  -0.33
3 N 1.285 -2.434 -0.907  0.05
4 N 0.843 0.401 1.044  -0.04
5 O -2.514 0.670 -1.008  -0.58
6 O -0.416 1.912 -0.821  -0.61
7 S -1.131 0.709 -1.385  0.67
8 H -0.973 -0.673 0.931  0.09
9 H 0.247 1.298 0.837  0.08
10 H 1.809 0.480 0.883  0.04

Relative energy (zero: lowest compared OMol25 entry of this formula, charge and spin): 24.07 kcal per mole
Largest force on an atom: 0.073 hartree/bohr
Kohn-Sham gap (alpha / beta): 6.152 / 6.910 eV
E: -736.18484 hartree
Charge: -1

[4]
The following is a DFT calculation (the ωB97M-V functional and the def2-TZVPD basis) of the ion C2H3N2O2S with charge -1.

Last column: Löwdin charge in e.
Atoms and positions in Å:
1 C 1.181 0.958 -0.056  -0.06
2 N 0.935 -0.324 -0.143  -0.47
3 O 1.628 -1.049 -0.911  -0.14
4 N -0.138 -0.811 0.525  0.03
5 C -1.797 -0.267 0.118  -0.95
6 O -2.600 -1.154 0.213  -0.08
7 S -1.815 1.348 -0.277  0.49
8 H 0.989 1.606 0.789  0.04
9 H 1.798 1.521 -0.776  0.07
10 H -0.181 -1.828 0.519  0.08

Relative energy (zero: lowest compared OMol25 entry of this formula, charge and spin): 53.57 kcal per mole
Largest force on an atom: 0.041 hartree/bohr
SMILES string: C=[N+]([O-])NC([O-])=S
Kohn-Sham gap: 7.386 eV
E: -736.13782 hartree
Charge: -1

* * * * *

(1)
# C34H67BCl12O8S

A cluster of 7 separate species, C34H67BCl12O8S in total (ωB97M-V with the def2-TZVPD basis set, the Open Molecules 2025 dataset).

Element x y z (Å)
C  0.8008  -1.6747  5.1337
C  1.3850  -2.9608  4.5489
C  0.6830  -3.4324  3.2728
C  -0.8582  -3.5078  3.3816
C  -1.4902  -4.8053  2.8293
C  -2.2217  -4.5991  1.5051
C  -1.3064  -4.0779  0.3771
C  -1.7954  -2.7956  -0.3226
C  -2.2000  -2.9949  -1.7801
C  -2.6949  -1.6946  -2.4311
C  -1.5527  -0.8662  -3.0044
C  -1.9729  0.4876  -3.6006
C  -0.7841  1.0045  -4.4077
C  -0.7546  2.4057  -5.0316
C  -2.1043  2.8541  -5.6325
C  -2.3973  4.3688  -5.6523
C  0.3332  2.3558  -6.1204
C  0.7919  3.6844  -6.6945
O  1.7185  4.3138  -5.7999
C  1.8640  5.6524  -5.9930
O  0.9377  6.4103  -5.8851
C  3.2703  6.0734  -6.3045
C  3.7963  7.0939  -5.2761
O  -0.2026  3.3338  -4.0532
S  -1.0937  3.7204  -2.7450
O  -0.1057  4.3345  -1.8889
O  -1.2643  2.2124  -2.0527
C  -2.3789  1.4306  -2.4725
O  -3.4564  2.2696  -2.8627
B  -4.7100  1.9953  -2.3467
O  -4.8910  2.0011  -0.9878
O  -5.7472  1.6257  -3.1885
H  0.5682  -0.9588  4.3410
H  1.5230  -1.1972  5.7941
>>>
Work order >
Your job: duplicate everything earlier on exactly.
Reply >
[1]
The following is a DFT calculation (the ωB97M-V functional and the def2-TZVPD basis) of the ion C2H3N2O2 with charge -1.

Last column: Löwdin charge in e.
Atoms and positions in Å:
1 C 0.857 -1.116 -0.150  -0.18
2 O 0.260 -0.300 0.771  -0.15
3 N -0.840 0.495 0.077  -0.28
4 O -0.830 0.447 -1.235  -0.24
5 C -1.028 1.638 0.660  -0.36
6 N -1.457 2.624 1.101  0.07
7 H 0.454 -0.754 -1.088  0.05
8 H 0.653 -2.103 -0.054  0.03
9 H 1.932 -0.932 -0.082  0.08

Relative energy (zero: lowest compared OMol25 entry of this formula, charge and spin): 84.14 kcal per mole
Largest force on an atom: 0.068 hartree/bohr
SMILES string: CON([O-])C#N
Kohn-Sham gap: 6.841 eV
E: -337.87530 hartree
Charge: -1

[2]
The following is a DFT calculation (the ωB97M-V functional and the def2-TZVPD basis) of the ion C2H3N2O2 with charge +1.

Last column: Löwdin charge in e.
Atoms and positions in Å:
1 N 1.795 -0.011 0.018  0.22
2 C 0.343 -0.193 -0.012  0.03
3 C -0.795 0.076 0.190  0.15
4 N -2.256 0.013 0.058  -0.42
5 O -2.736 1.027 -0.241  0.20
6 O -2.655 -1.094 0.189  0.19
7 H 2.451 -0.528 0.735  0.25
8 H 1.914 1.009 0.049  0.19
9 H 1.938 -0.298 -0.985  0.20

Relative energy (zero: lowest compared OMol25 entry of this formula, charge and spin): 170.29 kcal per mole
Largest force on an atom: 0.069 hartree/bohr
SMILES string: [NH3+]C#C[N+](=O)[O-]
Kohn-Sham gap: 10.543 eV
E: -337.46681 hartree
Charge: +1

[3]
The following is a DFT calculation (the ωB97M-V functional and the def2-TZVPD basis) of a cluster of 2 separate species, C2H3N2O2S in total.

Last column: Löwdin charge in e.
Atoms and positions in Å:
1 C 0.741 -1.634 -0.218  -0.36
2 C 0.109 -0.728 0.645  -0.33
3 N 1.285 -2.434 -0.907  0.05
4 N 0.843 0.401 1.044  -0.04
5 O -2.514 0.670 -1.008  -0.58
6 O -0.416 1.912 -0.821  -0.61
7 S -1.131 0.709 -1.385  0.67
8 H -0.973 -0.673 0.931  0.09
9 H 0.247 1.298 0.837  0.08
10 H 1.809 0.480 0.883  0.04

Relative energy (zero: lowest compared OMol25 entry of this formula, charge and spin): 24.07 kcal per mole
Largest force on an atom: 0.073 hartree/bohr
Kohn-Sham gap (alpha / beta): 6.152 / 6.910 eV
E: -736.18484 hartree
Charge: -1

[4]
The following is a DFT calculation (the ωB97M-V functional and the def2-TZVPD basis) of the ion C2H3N2O2S with charge -1.

Last column: Löwdin charge in e.
Atoms and positions in Å:
1 C 1.181 0.958 -0.056  -0.06
2 N 0.935 -0.324 -0.143  -0.47
3 O 1.628 -1.049 -0.911  -0.14
4 N -0.138 -0.811 0.525  0.03
5 C -1.797 -0.267 0.118  -0.95
6 O -2.600 -1.154 0.213  -0.08
7 S -1.815 1.348 -0.277  0.49
8 H 0.989 1.606 0.789  0.04
9 H 1.798 1.521 -0.776  0.07
10 H -0.181 -1.828 0.519  0.08

Relative energy (zero: lowest compared OMol25 entry of this formula, charge and spin): 53.57 kcal per mole
Largest force on an atom: 0.041 hartree/bohr
SMILES string: C=[N+]([O-])NC([O-])=S
Kohn-Sham gap: 7.386 eV
E: -736.13782 hartree
Charge: -1

* * * * *

(1)
# C34H67BCl12O8S

A cluster of 7 separate species, C34H67BCl12O8S in total (ωB97M-V with the def2-TZVPD basis set, the Open Molecules 2025 dataset).

Element x y z (Å)
C  0.8008  -1.6747  5.1337
C  1.3850  -2.9608  4.5489
C  0.6830  -3.4324  3.2728
C  -0.8582  -3.5078  3.3816
C  -1.4902  -4.8053  2.8293
C  -2.2217  -4.5991  1.5051
C  -1.3064  -4.0779  0.3771
C  -1.7954  -2.7956  -0.3226
C  -2.2000  -2.9949  -1.7801
C  -2.6949  -1.6946  -2.4311
C  -1.5527  -0.8662  -3.0044
C  -1.9729  0.4876  -3.6006
C  -0.7841  1.0045  -4.4077
C  -0.7546  2.4057  -5.0316
C  -2.1043  2.8541  -5.6325
C  -2.3973  4.3688  -5.6523
C  0.3332  2.3558  -6.1204
C  0.7919  3.6844  -6.6945
O  1.7185  4.3138  -5.7999
C  1.8640  5.6524  -5.9930
O  0.9377  6.4103  -5.8851
C  3.2703  6.0734  -6.3045
C  3.7963  7.0939  -5.2761
O  -0.2026  3.3338  -4.0532
S  -1.0937  3.7204  -2.7450
O  -0.1057  4.3345  -1.8889
O  -1.2643  2.2124  -2.0527
C  -2.3789  1.4306  -2.4725
O  -3.4564  2.2696  -2.8627
B  -4.7100  1.9953  -2.3467
O  -4.8910  2.0011  -0.9878
O  -5.7472  1.6257  -3.1885
H  0.5682  -0.9588  4.3410
H  1.5230  -1.1972  5.7941